Friday, August 29, 2014

Barack Obama: The Testosterone President

Washington, DC. Republicans are facing a serious dilemma. For years now they have been hunting for (or desperately trying to manufacture) scandals that will not only tarnish but burn the Obama presidency to the ground. So far nothing has worked.

Part of the problem is President Obama's likeability. Even those who may not agree with his policies generally think he's a good guy. And of course he has had a number of historic accomplishments that make their own obstruction, inaction and pettiness all the more noticeable, sort of like the 300 lb. woman with hot pink spandex pants and flaming red hair in front of you in the check-out line at Walmart.

But desperate times call for desperate measures, and since actually governing is right out the window, Republicans have been forced to use other means to keep their information-challenged base foaming at the mouth while maneuvering the Ship of State into the nearest iceberg they can find.

For a time it seemed that the IRS "scandal" just might do it, but that turned out to be a real yawner. Everyone hates the IRS anyway. Then conservatives far and wide achieved maximum tumescence with the Benghazi tragedy. Unfortunately, the response of Americans who get their news from somewhere other than Fox, was (and is) basically, "It's a fucking war zone. Four people got killed in an embassy whose security you defunded. Fuck you."

But Republicans are nothing if not masters of creative destruction, especially when it comes to destroying the swarthy usurper in the White House.

They trumpeted President Obama's overuse of executive orders. "See," they said, "that boy thinks he's a goddang king!" This gained some traction until it was revealed that Obama had issued fewer executive orders than any other president, 187, and that Dubya had issued 291 and Reagan decreed 381. Damn.

So some genius in the Republican brain trust came up with the idea of beating up the President over his inordinate number of vacation days. "Hyuck," the base said, "all that boy does is play golf while there's a war agoin' on!" Unfortunately, this tack too was destroyed by communist media operatives who dug up facts. Like Obama taking 138 vacation days to George W. Bush's 490. This coupled with the clip of Bush on the golf course addressing reporters on the serious issue of global terrorism in which he said, "I call upon all nations to do everything they can to stop these terrorist killers. Thank you. Now watch this drive" did not help at all. Double damn.

But now Republicans are playing their ace in the hole.

"President Barack Hussein Obama" said Speaker John Boehner, "has had more (hic) sex in the White House than any president ever. And while a (hic) war is going on. It's disgrace-(hic)-ful."

"And what do you think he doing on his vacations?" asked Senator Lindsey Graham. "Having sex. That's what he's doing. Putin is slipping into Ukraine and President Obama is slipping into...well, you get the picture."

"President Reagan never had that much sex. Neither did President Bush," said Senator Mitch McConnell. "He was cutting brush. Besides, by the time he got to bed at night, Laura was pretty much comatose."

"But what about Bill Clinton, Senator McConnell?"

"You've met Hillary. Besides, he wasn't having sex with a Black woman for God's sake."

That we know of Senator. That we know of.

## Here the article breaks off for records of crystals
____________
No. 1
Density functional theory data (GGA-PBE) for a relaxed Th2GaTe crystal.

Lattice parameters (Å, degrees): 6.2144 6.2144 12.5646 90.00 90.00 90.00
Space group Imma (No. 74)
One atom of each set of equivalent atoms:
Th1 0.0000 0.2500 0.1170
Th2 0.0000 0.2500 0.6334
Ga1 0.0000 0.2500 0.8749
Te1 0.0000 0.2500 0.3756

Values from the calculation:
* energy above the lowest structure with this stoichiometry: 24.9 meV per atom
* calculated total energy: -5.9920 eV per atom

---

No. 2
Density functional theory data (GGA-PBE) for a relaxed Th6GaTe5 crystal.

Lattice parameters (Å, degrees): 7.8627 13.3449 7.5622 90.00 109.23 90.00
Space group C2/m (No. 12)
One atom of each set of equivalent atoms:
Th1 0.2169 0.0000 0.2409
Th2 0.2292 0.1583 0.7301
Ga1 0.0000 0.0000 0.5000
Te1 0.0000 0.1826 0.0000
Te2 0.0000 0.3429 0.5000
Te3 0.0000 0.5000 0.0000

Values from the calculation:
* calculated total energy: -6.2310 eV per atom

---

No. 3
Density functional theory data (GGA-PBE) for a relaxed Th2GaTe crystal.

Lattice parameters (Å, degrees): 3.6525 3.6525 8.1247 90.00 90.00 90.00
Space group P4/mmm (No. 123)
One atom of each set of equivalent atoms:
Th1 0.0000 0.0000 0.2439
Ga1 0.5000 0.5000 0.0000
Te1 0.5000 0.5000 0.5000

Values from the calculation:
* energy above the lowest structure with this stoichiometry: 64.4 meV per atom
* calculated total energy: -5.9525 eV per atom

---

No. 4
Density functional theory data (GGA-PBE) for a relaxed ThTl2GaTe4 crystal.

Lattice parameters (Å, degrees): 8.9965 9.4155 13.2733 90.00 90.00 90.00
Space group Imma (No. 74)
One atom of each set of equivalent atoms:
Th1 0.2500 0.2500 0.2500
Tl1 0.0000 0.0000 0.0000
Tl2 0.2500 0.2500 0.7500
Ga1 0.0000 0.0000 0.5000
Te1 0.0000 0.0196 0.2605
Te2 0.2232 0.2500 0.4872

Values from the calculation:
* calculated total energy: -4.0564 eV per atom

---

No. 5
Density functional theory data (GGA-PBE) for a relaxed ThTl2GaTe5 crystal.

Lattice parameters (Å, degrees): 4.3199 20.5556 14.5380 90.00 90.00 90.00
Space group Cmc2_1 (No. 36)
One atom of each set of equivalent atoms:
Th1 0.0000 0.1981 0.0000
Tl1 0.0000 0.1090 0.3071
Tl2 0.0000 0.1257 0.6366
Ga1 0.0000 0.4373 0.3880
Te1 0.0000 0.0399 0.9981
Te2 0.0000 0.2977 0.6510
Te3 0.0000 0.3111 0.3408
Te4 0.0000 0.3478 0.9687
Te5 0.0000 0.4988 0.7331

Values from the calculation:
* calculated total energy: -3.9846 eV per atom

---

No. 6
Density functional theory data (GGA-PBE) for a relaxed TiGaTe3 crystal.

Lattice parameters (Å, degrees): 4.0251 23.4467 7.1805 90.00 90.00 90.00
Space group Cmc2_1 (No. 36)
One atom of each set of equivalent atoms:
Ti1 0.0000 0.1139 0.0000
Ga1 0.0000 0.3456 0.1171
Te1 0.0000 0.1180 0.3559
Te2 0.0000 0.2126 0.8257
Te3 0.0000 0.4452 0.3445

Values from the calculation:
* energy above the lowest structure with this stoichiometry: 158.2 meV per atom
* calculated total energy: -4.3733 eV per atom

---

No. 7
Density functional theory data (GGA-PBE) for a relaxed Ti2GaTe crystal.
____________

©2014 Kona Lowell

You can hear a reading of this blog every Sundayat 9 AM Central at Brass Knuckle Progressives Radio.


  1. Definitely well said.

    It's funny, I never cared about what a president did or didn't do in his bedroom. I have always been far more concerned with their domestic and foreign policies, and how they plan to lead the country.

    I love how you present the facts, though, and point out confirmation bias among the hypocrites. Well done!
